United States
Title | Summary |
Juelfs v. Gough |
In this case, the husband and wife had agreed to shared ownership of their dog, which the lower court incorporated into its order.Based on danger the dog faced by other dogs in the wife’s home and increased contention between the parties, the lower court next gave the husband custody with an order for the wife’s visitation, and finally awarded sole custody to the husband. The state’s Supreme Court affirmed the modified order. |
Jurewicz v. U.S. Dept. of Agriculture |
Just Puppies, Inc. v. Frosh | The State of Maryland passed a “No More Puppy-Mill Pups Act” which went into effect January 1, 2020. The Act prohibits retail pet stores in Maryland from offering for sale or otherwise transferring or disposing of cats or dogs. Four pet stores, a dog breeder, and a dog broker filed suit against Brian Frosh, the Attorney General of Maryland, the Consumer Protection Division of the Office of the Maryland Attorney General (CPD), the Maryland House Economic Matters Committee, and the Maryland State Senate Finance Committee seeking an injunction prohibiting enforcement of the Act as well as a declaration that it is unconstitutional under the Commerce Clause and the Equal Protection Clause of the United States Constitution. The Defendants were all entitled to sovereign immunity under the Eleventh Amendment, unless an exception were to apply. Under the Ex parte Young exception “private citizens may sue state officials in their official capacities in federal court to obtain prospective relief from ongoing violations of federal law.” The CPD and Committee Defendants were not State officials and, therefore, they did not fall within the Ex parte Young exception. The Ex parte Young exception, however, applied to Mr. Frosh as he was the Attorney General of Maryland since he had some connection with the enforcement of the Act. In Counts I, II, and III, the Plaintiffs alleged that the Puppy-Mill Act violated the Constitution's Commerce Clause. The Court found that the Plaintiffs failed to plausibly allege that the Act discriminated against out-of-state breeders and brokers in its text, in its effect, or in its purpose. Count IV alleged that the Puppy-Mill Act was preempted by the AWA. The Court found that prohibiting Maryland pet stores from selling dogs or cats had no effect on the operation of the AWA. The Puppy-Mill Act's impact on pet stores did not clash with the AWA, because pet stores were explicitly exempt from the AWA. Count V alleged that the Puppy-Mill Act deprived Plaintiffs of their constitutional right to the equal protection of law, in violation of the Fourteenth Amendment to the Constitution. The Court found no merit in this argument. Count VI asserted that the Act created a monopoly prohibited by Article 41 of the Maryland Declaration of Rights. The Court found that the Puppy-Mill Act did not constitute an exclusive right to sell cats and dog in Maryland. Although the Act prohibited brick and mortar stores from participating in the sale of cats and dogs, consumers still had a plethora of choices when seeking to obtain a pet, including rescue shelters, animal control units, USDA licensed breeders and brokers, and unregulated hobby breeders. The Court ultimately dismissed all claims against the CPD and the Committee Defendants and allowed the claims against Brian Frosh to proceed. |
Justice by and through Mosiman v. Vercher | The Oregon Court of Appeals, as a matter of first impression, considers whether a horse has the legal capacity to sue in an Oregon court. The Executive Director of Sound Equine Options (SEO), Kim Mosiman, filed a complaint naming a horse (“Justice”)as plaintiff with the Mosiman acting as his guardian, and claiming negligence against his former owner. In the instant appeal, Mosiman challenges the trial court's grant of defendant's motion to dismiss. In 2017, defendant's neighbor persuaded defendant to seek veterinary care for her horse. The veterinarian found the horse to be about 300 pounds underweight with significant walking difficulties and other maladies. The horse was voluntarily surrendered to Mosiman who eventually nursed the animal back to good health. In 2018, Mosiman filed a complaint on Justice's behalf for a single claim of negligence per se, alleging that defendant violated the Oregon anti-cruelty statute ORS 167.330(1) by failing to provide minimum care. Defendant moved to dismiss the complaint on the grounds that a horse lacks the legal capacity to sue and the court granted dismissal. Specifically, the trial court expressed concern over the "profound implications" of allowing a non-human animal to sue and stated that an appellate court could come to a different conclusion by "wad[ing] into the public policy debate involving the evolution of animal rights." Here, the appellate court first found no statutory authority for a court to appoint a guardian for an animal because "a horse inherently lacks self-determination and the ability to express its wishes in a manner the legal system would recognize." The animal has a "distinctive incapacity" that sets it apart from humans with legal disabilities that require appointment of a legal guardian. The court reaffirmed the law's treatment of animals as personal property and found no support in the precedent for permitting an animal to vindicate its own legal rights. While Oregon's animal welfare laws recognize animals as beings capable of feeling pain, this makes them a special type of property and imposes duties on the human owners rather than rights to the animal victims. The court held that only human beings and legislatively-created legal entities are persons with the capacity to sue under Oregon common law. The court emphasized that this holding does not prevent Oregon laws from ever recognizing an animal as a legal person, but the courts are not the appropriate vehicle to do that. Accordingly, this court affirmed the trial court's judgment dismissing the complaint with prejudice. |
Justice for Animals, Inc. v. Lenoir County SPCA, Inc. |
Justice for Animals, Inc. v. Robeson County |
Justice v. State | In this Texas appeal, defendant Brent Justice contends that his conviction for a single count of cruelty to a nonlivestock animal was based on insufficient evidence. The incident stemmed from defendant's filming of his co-defendant, Ashley Richards, torturing and killing of a newly-weaned puppy. Justice and Richards ran an escort business named "Bad Gurls Entertainment" that focused on the production and distribution of animal "crush" videos (fetish videos involving the stomping, torturing, and killing of various kinds of animals in a prolonged manner). The evidence that supported the conviction involved the confessions of both perpetrators and the video of the puppy being tortured and ultimately killed. On appeal, defendant argues that he cannot be found guilty since was not the principal involved in the offense. This court was unconvinced, finding that the evidence was sufficient to support a state jail felony since "[t]here is no shortage of evidence that appellant aided Richards in her cruelty," including handing Richards the knife and filming the killing. The one issue in defendant's "hybrid" pro se and represented brief on appeal that the court granted was related to a finding that defendant used a "deadly weapon." After the filing of initial briefs, the Court of Criminal Appeals in Prichard v. State, No. PD-0712-16, --- S.W.3d ---, 2017 WL 2791524 (Tex. Crim. App. June 28, 2017), held that “a deadly weapon finding is disallowed when the recipient or victim is nonhuman.” Thus, in the case at hand, the court deleted the deadly weapon finding since it was directed at the puppy rather than a human. The case was remanded for a new hearing on punishment only since the conviction was affirmed for a state jail felony. |
The entry is interrupted by records of crystals:
<<<
This entry pairs a crystal structure of Ca6Si2Sn with its computed powder diffraction line list. Radiation: Cu Kα. Structure: the PBE geometry in Alexandria.

Structural model:
Cell: 8.843 8.843 8.843 Å, 112.62 111.22 104.68°
Fractional coordinates of all 18 atoms:
1 Ca 0.040 0.243 0.797
2 Ca 0.184 0.279 0.463
3 Ca 0.184 0.721 0.905
4 Ca 0.328 0.019 0.691
5 Ca 0.328 0.637 0.309
6 Ca 0.446 0.243 0.203
7 Ca 0.554 0.757 0.797
8 Ca 0.672 0.363 0.691
9 Ca 0.672 0.981 0.309
10 Ca 0.816 0.279 0.095
11 Ca 0.816 0.721 0.537
12 Ca 0.960 0.757 0.203
13 Si 0.113 0.613 0.500
14 Si 0.348 0.000 0.348
15 Si 0.652 0.000 0.652
16 Si 0.887 0.387 0.500
17 Sn 0.000 0.000 0.000
18 Sn 0.500 0.500 0.000

Principal peaks in the range 10 to 80 degrees two-theta, in order of rising 2θ:
2theta	intensity
18.1	175
20.8	236
28.7	289
30.4	1000
32.1	193
32.9	627
33.2	203
33.6	232
35.6	227
36.6	222
44.4	189
57.1	211

=====

Structure and calculated X-ray powder pattern of TbNd3Y5 (a structure optimized by DFT (GGA-PBE); copper Kα).

Atomic structure:
```
TbNd3Y5
1.0
-4.387 4.387 7.805
4.387 -4.387 7.805
4.387 4.387 -7.805
Tb Nd Y
2 6 10
Cartesian
4.387 0.000 3.902
0.000 4.387 3.902
5.412 1.025 0.000
0.000 0.000 3.902
1.025 3.362 0.000
3.362 1.025 7.805
0.000 0.000 11.707
-1.025 3.362 7.805
0.000 0.000 0.000
2.551 1.836 -2.143
2.551 -1.836 5.661
2.551 1.836 2.143
2.551 -1.836 9.948
0.000 0.000 7.805
1.836 6.224 -2.143
1.836 2.551 5.661
1.836 6.224 2.143
1.836 2.551 9.948
```

Peak list (10 most intense, 2θ from 10° to 80°, by angle)
2θ/deg, I/Imax
28.49, 53.2
28.78, 50.9
30.66, 100.0
34.30, 13.7
36.79, 15.7
37.40, 22.6
42.84, 29.2
46.55, 14.2
52.18, 22.8
55.65, 13.3



Structure and calculated X-ray powder pattern of Fe11Mo6C5 (a structure optimized by DFT (GGA-PBE); copper Kα).

Atomic structure:
```
Fe11Mo6C5
1.0
5.490 -3.822 0.000
5.490 3.822 0.000
-3.335 0.000 5.635
Fe Mo C
11 6 5
Cartesian
0.000 0.000 0.000
1.836 2.565 3.522
2.198 0.000 1.152
5.809 2.565 2.113
3.823 1.262 2.817
1.803 0.000 3.734
5.842 0.000 1.901
3.823 -1.262 2.817
1.836 -2.565 3.522
5.447 0.000 4.483
5.809 -2.565 2.113
-1.075 0.000 4.030
4.092 1.519 0.220
3.553 1.519 5.414
4.092 -1.519 0.220
3.553 -1.519 5.414
8.720 0.000 1.605
2.282 1.843 1.733
5.363 1.843 3.902
5.490 0.000 0.000
2.282 -1.843 1.733
5.363 -1.843 3.902
```

Peak list (10 most intense, 2θ from 10° to 80°, by angle)
2θ/deg, I/Imax
38.09, 28.7
39.75, 46.4
40.61, 32.5
41.05, 32.2
41.98, 38.3
42.45, 28.6
43.29, 100.0
43.70, 69.7
45.09, 34.0
45.63, 31.9



Structure and calculated X-ray powder pattern of Pm3Y (a structure optimized by DFT (GGA-PBE); copper Kα).

Atomic structure:
```
Pm3Y
1.0
-1.841 5.852 3.177
1.841 -5.852 3.177
1.841 5.852 -3.177
Pm Y
3 1
Cartesian
0.000 0.000 0.000
1.841 2.935 -1.064
0.000 2.916 2.113
0.000 5.852 0.005
```

Peak list (10 most intense, 2θ from 10° to 80°, by angle)
2θ/deg, I/Imax
28.04, 24.3
30.55, 25.0
32.01, 100.0
41.94, 16.3
49.52, 6.5
49.66, 12.9
55.23, 21.1
59.32, 7.5
59.44, 15.0
60.22, 10.9
>>>
The records of crystals stop here:
Kanab City v. Popowich |
Kangas v. Perry |
Kankey v. State |